_Listing_
Entry from Alexandria via LeMat-Bulk: crystalline AgBi2Pd7Pb2 at its relaxed geometry (PBE-GGA).

Properties
Magnetic moment   0.0000 μB per atom
D(E_F)   15.871 states/eV per cell
ρ   11.13 g/cm³
E_form   -1.3 eV/f.u.
E   -111.4 eV/cell

a = 5.6883 Å, b = 5.6514 Å, c = 15.7372 Å
α = 90.00°, β = 96.39°, γ = 90.00°
Last column: nearest neighbours and their distance in Å.
Space group C2/m (No. 12)
Symmetry-distinct sites (fractional):
Ag1 0.0000 0.0000 0.0000 x2  12 Pd 2.83-2.85
Bi1 0.1347 0.0000 0.3966 x4  5 Pd 2.77-2.98
Pd1 0.0000 0.5000 0.0000 x2  4 Ag 2.83-2.84, 8 Pd 2.85
Pd2 0.1593 0.5000 0.4354 x4  5 Bi 2.77-2.98, 1 Pd 2.87, 1 Pb 2.87
Pd3 0.2091 0.2502 0.8705 x8  2 Pb 2.77, 6 Pd 2.82-2.85, 2 Ag 2.85
Pb1 0.0798 0.5000 0.2518 x4  5 Pd 2.77-2.87

Entry from Alexandria via LeMat-Bulk: crystalline PmAgBiPb at its relaxed geometry (PBE-GGA).

Properties
Magnetic moment   0.0000 μB per atom
D(E_F)   7.838 states/eV per cell
ρ   9.81 g/cm³
E_form   -0.9 eV/f.u.
E   -64.4 eV/cell

a = 7.6809 Å, b = 7.6809 Å, c = 7.6809 Å
α = 90.00°, β = 90.00°, γ = 90.00°
Last column: nearest neighbours and their distance in Å.
Space group F-43m (No. 216)
Symmetry-distinct sites (fractional):
Pm1 0.0000 0.0000 0.0000 x4  4 Bi 3.33, 4 Ag 3.33
Ag1 0.2500 0.2500 0.7500 x4  4 Pb 3.33, 4 Pm 3.33
Bi1 0.2500 0.2500 0.2500 x4  4 Pb 3.33, 4 Pm 3.33
Pb1 0.0000 0.0000 0.5000 x4  4 Bi 3.33, 4 Ag 3.33

Entry from Alexandria via LeMat-Bulk: crystalline Rb2AgBi3Pb4 at its relaxed geometry (PBE-GGA).

Properties
Magnetic moment   0.0000 μB per atom
D(E_F)   3.438 states/eV per cell
ρ   7.50 g/cm³
E_form   -1.1 eV/f.u.
E   -32.3 eV/cell

a = 5.3634 Å, b = 5.3634 Å, c = 13.3581 Å
α = 90.00°, β = 90.00°, γ = 90.00°
Last column: nearest neighbours and their distance in Å.
Space group P-4m2 (No. 115)
Symmetry-distinct sites (fractional):
Rb1 0.0000 0.5000 0.2360 x2  8 Pb 4.10-4.43, 6 Bi 4.12-4.14, 2 Ag 4.14
Ag1 0.5000 0.5000 0.0000 x1  4 Pb 3.12
Bi1 0.0000 0.0000 0.0000 x1  4 Pb 3.12
Bi2 0.0000 0.5000 0.6440 x2  5 Pb 3.17-3.30
Pb1 0.0000 0.0000 0.5000 x1  4 Bi 3.30
Pb2 0.0000 0.5000 0.8813 x2  3 Bi 3.12-3.17, 2 Ag 3.12
Pb3 0.5000 0.5000 0.5000 x1  4 Bi 3.30


[1]
The following is a GGA-PBE calculation of a geometry-optimized SrZnPb2I structure, from the Alexandria database.

Results
Energy ... -2.5519 eV/atom
Raw formation energy ... -0.1674 eV/atom

Cell and atoms, written as CIF:
```
data_SrZnPb2I
_chemical_formula_sum 'Sr1 Zn1 Pb2 I1'
_symmetry_space_group_name_H-M 'P 4/m m m'
_symmetry_Int_Tables_number 123
_symmetry_space_group_name_Hall '-P 4 2'
_cell_length_a 5.258
_cell_length_b 5.258
_cell_length_c 6.665
_cell_angle_alpha 90.00
_cell_angle_beta 90.00
_cell_angle_gamma 90.00
loop_
_atom_site_label
_atom_site_fract_x
_atom_site_fract_y
_atom_site_fract_z
_atom_site_occupancy
Sr1 0.000 0.000 0.000 1
Zn1 0.000 0.000 0.500 1
Pb1 0.000 0.500 0.500 1
I1 0.500 0.500 0.000 1
```

***

[2]
The following is a GGA-PBE calculation of a geometry-optimized TaPb3I structure, from the Alexandria database.

Results
Energy ... -4.5370 eV/atom
Raw formation energy ... 0.3686 eV/atom

Cell and atoms, written as CIF:
```
data_TaPb3I
_chemical_formula_sum 'Ta1 Pb3 I1'
_symmetry_space_group_name_H-M 'P m -3 m'
_symmetry_Int_Tables_number 221
_symmetry_space_group_name_Hall '-P 4 2 3'
_cell_length_a 5.588
_cell_length_b 5.588
_cell_length_c 5.588
_cell_angle_alpha 90.00
_cell_angle_beta 90.00
_cell_angle_gamma 90.00
loop_
_atom_site_label
_atom_site_fract_x
_atom_site_fract_y
_atom_site_fract_z
_atom_site_occupancy
Ta1 0.000 0.000 0.000 1
Pb1 0.000 0.000 0.500 1
I1 0.500 0.500 0.500 1
```

***

[3]
The following is a GGA-PBE calculation of a geometry-optimized TaPb2I structure, from the Alexandria database.

Results
Energy ... -4.1651 eV/atom
Raw formation energy ... 1.0397 eV/atom

Cell and atoms, written as CIF:
```
data_TaPb2I
_chemical_formula_sum 'Ta4 Pb8 I4'
_symmetry_space_group_name_H-M 'F m -3 m'
_symmetry_Int_Tables_number 225
_symmetry_space_group_name_Hall '-F 4 2 3'

_Work order_
Return the lines further up up to the one that holds "PmAgBiPb at", that line included.

_Here it is_
Entry from Alexandria via LeMat-Bulk: crystalline AgBi2Pd7Pb2 at its relaxed geometry (PBE-GGA).

Properties
Magnetic moment   0.0000 μB per atom
D(E_F)   15.871 states/eV per cell
ρ   11.13 g/cm³
E_form   -1.3 eV/f.u.
E   -111.4 eV/cell

a = 5.6883 Å, b = 5.6514 Å, c = 15.7372 Å
α = 90.00°, β = 96.39°, γ = 90.00°
Last column: nearest neighbours and their distance in Å.
Space group C2/m (No. 12)
Symmetry-distinct sites (fractional):
Ag1 0.0000 0.0000 0.0000 x2  12 Pd 2.83-2.85
Bi1 0.1347 0.0000 0.3966 x4  5 Pd 2.77-2.98
Pd1 0.0000 0.5000 0.0000 x2  4 Ag 2.83-2.84, 8 Pd 2.85
Pd2 0.1593 0.5000 0.4354 x4  5 Bi 2.77-2.98, 1 Pd 2.87, 1 Pb 2.87
Pd3 0.2091 0.2502 0.8705 x8  2 Pb 2.77, 6 Pd 2.82-2.85, 2 Ag 2.85
Pb1 0.0798 0.5000 0.2518 x4  5 Pd 2.77-2.87

Entry from Alexandria via LeMat-Bulk: crystalline PmAgBiPb at its relaxed geometry (PBE-GGA).